____________
Entry 1:
The following is a calculated powder diffractogram of AcPd7O12. It was derived from a structure optimized by DFT (PBE), using Cu Kα (weighted mean of Kα1 and Kα2).
Lines closer than 0.1° are merged.

Crystal structure
Cell: 7.806 7.806 7.806 Å, 90.00 90.00 90.00°
Space group Im-3 (No. 204)
Symmetry-distinct sites (fractional):
Ac1 0.000 0.000 0.000 (multiplicity 2)
Pd1 0.000 0.000 0.500 (multiplicity 6)
Pd2 0.250 0.250 0.250 (multiplicity 8)
O1 0.000 0.303 0.167 (multiplicity 24)

Most intense lines, 2θ = 10–90°, most intense first:
(2 2 0), 2θ = 32.4°, I = 100; (4 2 2), 2θ = 57.9°, I = 46; (4 0 0), 2θ = 46.5°, I = 23; (6 2 0), 2θ = 77.3°, I = 17; (4 4 0), 2θ = 67.9°, I = 13; (1 1 0), 2θ = 16.1°, I = 7

Entry 2:
The following is a calculated powder diffractogram of Ac3Pd4O12. It was derived from a structure optimized by DFT (PBE), using Cu Kα (weighted mean of Kα1 and Kα2).
Lines closer than 0.1° are merged.

Crystal structure
Cell: 8.151 8.151 8.151 Å, 90.00 90.00 90.00°
Space group Im-3 (No. 204)
Symmetry-distinct sites (fractional):
Ac1 0.000 0.000 0.500 (multiplicity 6)
Pd1 0.250 0.250 0.250 (multiplicity 8)
O1 0.000 0.238 0.298 (multiplicity 24)

Most intense lines, 2θ = 10–90°, most intense first:
(2 2 0), 2θ = 31.0°, I = 100; (4 2 2), 2θ = 55.2°, I = 44; (1 1 0), 2θ = 15.4°, I = 28; (4 0 0), 2θ = 44.5°, I = 27; (6 2 0), 2θ = 73.5°, I = 18; (4 4 0), 2θ = 64.7°, I = 16

Entry 3:
The following is a calculated powder diffractogram of AcScPdO4. It was derived from a structure optimized by DFT (PBE), using Cu Kα (weighted mean of Kα1 and Kα2).
Lines closer than 0.1° are merged.

Crystal structure
Cell: 5.753 5.753 6.742 Å, 90.00 90.00 90.00°
Space group I-4 (No. 82)
Symmetry-distinct sites (fractional):
Ac1 0.000 0.000 0.000 (multiplicity 2)
Sc1 0.000 0.000 0.500 (multiplicity 2)
Pd1 0.000 0.500 0.250 (multiplicity 2)
O1 0.178 0.802 0.301 (multiplicity 8)

Most intense lines, 2θ = 10–90°, most intense first:
(1 0 1), 2θ = 20.3°, I = 100; (1 1 2), 2θ = 34.6°, I = 90; (1 2 1), 2θ = 37.4°, I = 49; (2 0 0), 2θ = 31.1°, I = 47; (1 3 2), 2θ = 57.6°, I = 46; (1 1 0), 2θ = 21.8°, I = 29

Entry 4:
The following is a calculated powder diffractogram of Ac2SiPdO6. It was derived from a structure optimized by DFT (PBE), using Cu Kα (weighted mean of Kα1 and Kα2).
Lines closer than 0.1° are merged.

Crystal structure
Cell: 5.555 5.555 4.354 Å, 90.00 90.00 90.00°
Space group P4mm (No. 99)
Symmetry-distinct sites (fractional):
Ac1 0.000 0.500 0.000 (multiplicity 2)
Si1 0.000 0.000 0.523 (multiplicity 1)
Pd1 0.500 0.500 0.546 (multiplicity 1)
O1 0.000 0.000 0.140 (multiplicity 1)
O2 0.219 0.219 0.616 (multiplicity 4)
O3 0.500 0.500 0.052 (multiplicity 1)

Most intense lines, 2θ = 10–90°, most intense first:
(1 1 1), 2θ = 30.7°, I = 100; (2 0 0), 2θ = 32.2°, I = 44; (3 1 1), 2θ = 56.5°, I = 36; (2 0 1), 2θ = 38.4°, I = 26; (2 2 0), 2θ = 46.2°, I = 24; (1 1 0), 2θ = 22.6°, I = 24

Entry 5:
The following is a calculated powder diffractogram of AcTc2PdO8. It was derived from a structure optimized by DFT (PBE), using Cu Kα (weighted mean of Kα1 and Kα2).
Lines closer than 0.1° are merged.

Crystal structure
Cell: 11.567 7.439 4.698 Å, 90.00 113.54 90.00°
Space group C2/m (No. 12)
Symmetry-distinct sites (fractional):
Ac1 0.000 0.000 0.000 (multiplicity 2)
Tc1 0.199 0.500 0.258 (multiplicity 4)
Pd1 0.000 0.500 0.500 (multiplicity 2)
O1 0.129 0.000 0.618 (multiplicity 4)
O2 0.132 0.293 0.086 (multiplicity 8)
O3 0.191 0.500 0.632 (multiplicity 4)

Most intense lines, 2θ = 10–90°, most intense first:
(1 1 1), 2θ = 28.0°, I = 100; (0 2 0), 2θ = 23.9°, I = 64; (3 1 -1), 2θ = 28.2°, I = 50; (1 3 1), 2θ = 44.7°, I = 27; (2 0 -2), 2θ = 38.3°, I = 22; (5 1 -1), 2θ = 41.1°, I = 20

Entry 6:
The following is a calculated powder diffractogram of AcTcPdO6. It was derived from a structure optimized by DFT (PBE), using Cu Kα (weighted mean of Kα1 and Kα2).
Lines closer than 0.1° are merged.

Crystal structure
____________

Copy only the last part of the lines earlier on, starting with the line that has "Cell: 7.806".

Cell: 7.806 7.806 7.806 Å, 90.00 90.00 90.00°
Space group Im-3 (No. 204)
Symmetry-distinct sites (fractional):
Ac1 0.000 0.000 0.000 (multiplicity 2)
Pd1 0.000 0.000 0.500 (multiplicity 6)
Pd2 0.250 0.250 0.250 (multiplicity 8)
O1 0.000 0.303 0.167 (multiplicity 24)

Most intense lines, 2θ = 10–90°, most intense first:
(2 2 0), 2θ = 32.4°, I = 100; (4 2 2), 2θ = 57.9°, I = 46; (4 0 0), 2θ = 46.5°, I = 23; (6 2 0), 2θ = 77.3°, I = 17; (4 4 0), 2θ = 67.9°, I = 13; (1 1 0), 2θ = 16.1°, I = 7

Entry 2:
The following is a calculated powder diffractogram of Ac3Pd4O12. It was derived from a structure optimized by DFT (PBE), using Cu Kα (weighted mean of Kα1 and Kα2).
Lines closer than 0.1° are merged.

Crystal structure
Cell: 8.151 8.151 8.151 Å, 90.00 90.00 90.00°
Space group Im-3 (No. 204)
Symmetry-distinct sites (fractional):
Ac1 0.000 0.000 0.500 (multiplicity 6)
Pd1 0.250 0.250 0.250 (multiplicity 8)
O1 0.000 0.238 0.298 (multiplicity 24)

Most intense lines, 2θ = 10–90°, most intense first:
(2 2 0), 2θ = 31.0°, I = 100; (4 2 2), 2θ = 55.2°, I = 44; (1 1 0), 2θ = 15.4°, I = 28; (4 0 0), 2θ = 44.5°, I = 27; (6 2 0), 2θ = 73.5°, I = 18; (4 4 0), 2θ = 64.7°, I = 16

Entry 3:
The following is a calculated powder diffractogram of AcScPdO4. It was derived from a structure optimized by DFT (PBE), using Cu Kα (weighted mean of Kα1 and Kα2).
Lines closer than 0.1° are merged.

Crystal structure
Cell: 5.753 5.753 6.742 Å, 90.00 90.00 90.00°
Space group I-4 (No. 82)
Symmetry-distinct sites (fractional):
Ac1 0.000 0.000 0.000 (multiplicity 2)
Sc1 0.000 0.000 0.500 (multiplicity 2)
Pd1 0.000 0.500 0.250 (multiplicity 2)
O1 0.178 0.802 0.301 (multiplicity 8)

Most intense lines, 2θ = 10–90°, most intense first:
(1 0 1), 2θ = 20.3°, I = 100; (1 1 2), 2θ = 34.6°, I = 90; (1 2 1), 2θ = 37.4°, I = 49; (2 0 0), 2θ = 31.1°, I = 47; (1 3 2), 2θ = 57.6°, I = 46; (1 1 0), 2θ = 21.8°, I = 29

Entry 4:
The following is a calculated powder diffractogram of Ac2SiPdO6. It was derived from a structure optimized by DFT (PBE), using Cu Kα (weighted mean of Kα1 and Kα2).
Lines closer than 0.1° are merged.

Crystal structure
Cell: 5.555 5.555 4.354 Å, 90.00 90.00 90.00°
Space group P4mm (No. 99)
Symmetry-distinct sites (fractional):
Ac1 0.000 0.500 0.000 (multiplicity 2)
Si1 0.000 0.000 0.523 (multiplicity 1)
Pd1 0.500 0.500 0.546 (multiplicity 1)
O1 0.000 0.000 0.140 (multiplicity 1)
O2 0.219 0.219 0.616 (multiplicity 4)
O3 0.500 0.500 0.052 (multiplicity 1)

Most intense lines, 2θ = 10–90°, most intense first:
(1 1 1), 2θ = 30.7°, I = 100; (2 0 0), 2θ = 32.2°, I = 44; (3 1 1), 2θ = 56.5°, I = 36; (2 0 1), 2θ = 38.4°, I = 26; (2 2 0), 2θ = 46.2°, I = 24; (1 1 0), 2θ = 22.6°, I = 24

Entry 5:
The following is a calculated powder diffractogram of AcTc2PdO8. It was derived from a structure optimized by DFT (PBE), using Cu Kα (weighted mean of Kα1 and Kα2).
Lines closer than 0.1° are merged.

Crystal structure
Cell: 11.567 7.439 4.698 Å, 90.00 113.54 90.00°
Space group C2/m (No. 12)
Symmetry-distinct sites (fractional):
Ac1 0.000 0.000 0.000 (multiplicity 2)
Tc1 0.199 0.500 0.258 (multiplicity 4)
Pd1 0.000 0.500 0.500 (multiplicity 2)
O1 0.129 0.000 0.618 (multiplicity 4)
O2 0.132 0.293 0.086 (multiplicity 8)
O3 0.191 0.500 0.632 (multiplicity 4)

Most intense lines, 2θ = 10–90°, most intense first:
(1 1 1), 2θ = 28.0°, I = 100; (0 2 0), 2θ = 23.9°, I = 64; (3 1 -1), 2θ = 28.2°, I = 50; (1 3 1), 2θ = 44.7°, I = 27; (2 0 -2), 2θ = 38.3°, I = 22; (5 1 -1), 2θ = 41.1°, I = 20

Entry 6:
The following is a calculated powder diffractogram of AcTcPdO6. It was derived from a structure optimized by DFT (PBE), using Cu Kα (weighted mean of Kα1 and Kα2).
Lines closer than 0.1° are merged.

Crystal structure